Testing for Batch effect

********
Record 1
{
  "formula": "TaIr2",
  "functional": "PBE",
  "state": "relaxed",
  "lattice_angstrom": [[-1.413, 1.413, 5.876], [1.413, -1.413, 5.876], [1.413, 1.413, -5.876]],
  "species": ["Ta", "Ir", "Ir"],
  "fractional_positions": [[0.000, 0.000, 0.000], [0.334, 0.334, 0.000], [0.666, 0.666, 0.000]],
  "energy_ev_per_cell": -30.678,
  "formation_enthalpy_0k_ev_per_fu": -1.1,
  "spacegroup": "I4/mmm",
  "n_ef_per_ev_cell": 3.58
}

***

Record 2
{
  "formula": "Ho6InTe3P2",
  "functional": "PBE",
  "state": "relaxed",
  "lattice_angstrom": [[9.276, -2.068, 0.000], [9.276, 2.068, 0.000], [-2.146, 0.000, 8.387]],
  "species": ["Ho", "Ho", "Ho", "Ho", "Ho", "Ho", "In", "Te", "Te", "Te", "P", "P"],
  "fractional_positions": [[0.012, 0.012, 0.254], [0.324, 0.324, 0.437], [0.333, 0.333, 0.886], [0.667, 0.667, 0.114], [0.676, 0.676, 0.563], [0.988, 0.988, 0.746], [0.500, 0.500, 0.000], [0.164, 0.164, 0.831], [0.500, 0.500, 0.500], [0.836, 0.836, 0.169], [0.169, 0.169, 0.339], [0.831, 0.831, 0.661]],
  "energy_ev_per_cell": -65.663,
  "raw_formation_energy_kj_per_mol_atoms": -122.3,
  "spacegroup": "C2/m",
  "n_ef_per_ev_cell": 3.97
}

***

Record 3
{
  "formula": "ErAlCo",
  "functional": "PBE",
  "state": "relaxed",
  "lattice_angstrom": [[-1.555, 1.555, 5.385], [1.555, -1.555, 5.385], [1.555, 1.555, -5.385]],
  "species": ["Er", "Al", "Co"],
  "fractional_positions": [[0.000, 0.000, 0.000], [0.282, 0.282, 0.000], [0.670, 0.670, 0.000]],
  "energy_ev_per_cell": -16.370,
  "formation_enthalpy_0k_ev_per_fu": -1.0,
  "spacegroup": "I4mm",
  "n_ef_per_ev_cell": 1.71
}

***

Record 4
{
  "formula": "SrAgRh",
  "functional": "PBE",
  "state": "relaxed",
  "lattice_angstrom": [[4.530, 0.000, 0.000], [-2.265, 3.924, 0.000], [0.000, 0.000, 4.180]],
  "species": ["Sr", "Ag", "Rh"],
  "fractional_positions": [[0.000, 0.000, 0.000], [0.667, 0.333, 0.500], [0.333, 0.667, 0.500]],
  "energy_ev_per_cell": -11.999,
  "formation_enthalpy_0k_ev_per_fu": -0.1,
  "relative_energy_mev_per_atom": 191,
  "spacegroup": "P-6m2",
  "n_ef_per_ev_cell": 2.11
}

***

Record 5
{
  "formula": "TiNbHIr2",
  "functional": "PBE",
  "state": "relaxed",
  "lattice_angstrom": [[4.011, 0.000, 0.000], [0.000, 4.011, 0.000], [0.000, 0.000, 4.002]],
  "species": ["Ti", "Nb", "H", "Ir", "Ir"],
  "fractional_positions": [[0.000, 0.000, 0.000], [0.500, 0.500, 0.000], [0.000, 0.000, 0.500], [0.000, 0.500, 0.500], [0.500, 0.000, 0.500]],
  "energy_ev_per_cell": -41.276,
  "spacegroup": "P4/mmm",
  "n_ef_per_ev_cell": 4.53
}

***

Record 6
{
  "formula": "YAg2Se",
  "functional": "PBE",
  "state": "relaxed",
  "lattice_angstrom": [[-2.487, 2.487, 3.506], [2.487, -2.487, 3.506], [2.487, 2.487, -3.506]],
  "species": ["Y", "Ag", "Ag", "Se"],
  "fractional_positions": [[0.000, 0.000, 0.000], [0.250, 0.750, 0.500], [0.500, 0.500, 0.000], [0.750, 0.250, 0.500]],
  "energy_ev_per_cell": -17.379,
  "raw_formation_energy_kj_per_mol_atoms": -41.7,
  "spacegroup": "I-4m2",
  "n_ef_per_ev_cell": 3.85
}

***
********


We are currently submitting a manuscript and one of the reviewers wants to know if there was a batch effect. To clarify, we gathered our data in two separate 454 sequencing runs and then combined the data. The reviewer suggested using the “Adonis” test. Do you have any recommendations on how to test for batch effect?


Adonis is a function in the R library ‘vegan’ that performs permutational multivariate ANOVA on a distance matrix. It basically fits a correlation between your data and pre-defined groupings to determine how well a particular grouping describes the variation in your data. As far as I can tell through a quick Google search there’s no actual stats test call ‘adonis’ so this is probably what they’re referring to.

It’s very simple to perform. You can import your distance matrix into R using this post and then the vegan documentation should help you through the rest of the analysis. If you’re not familiar with R then I know a few other programs can do the analysis (for example, PRIMER). You need to run the analysis once per grouping you want to test (run plate and whatever variables you were testing in your manuscript) but what you hope to see is that your study parameters provide a greater amount of explanatory power to your findings than the sequencing run, which will hopefully be negligible.

Thanks for the help…but I must admit, I’m not well versed in R but I will look into it as well as the PRIMER software. I’ve read elsewhere on the forum (http://mothur.org/forum/viewtopic.php?f=3&t=2957) that adonis is basically the same as AMOVA…would there be anyway to test for batch effect using the amova command in mothur?

O yea, there’s a command to do that in mothur - http://www.mothur.org/wiki/Amova. You could just group your data by plate and see what the result is.

It’s a bit of an odd comment to receive, did you have all your pre-/post-treatment samples split into separate runs or were the samples randomised across the machine runs?

The samples were randomized across both runs…it is a bit of an odd comment but we would like to make an effort to address their question.

Any recommendations on how to do this? I assume I need to create a distance matrix but I’m not sure which command to use and how to group the data.


These are pretty common for most of the statistical tests done in mothur.

Thanks for you help so far! I do know how to make design files, I’m just unclear about which calculator to use to make the distance file? I’m assuming I should use dist.seqs for my fasta file containing all of my reads (from both runs), and then use the amova command to test for differences between the two sequencing runs…my question is how do I make a design file to do this without having to individually label each read with the sequencing run it was generated by?

I don’t know if you’d need to do that, I would think you could just get away with repeating your per-group analysis with new sample groupings (which is how I would do it). Hopefully someone else can weigh in on this though.

If you want a sequence-based design file for analysis, I’m not sure how well this will play out overall since there’s already going to be a large amount if within-sample variation just due to the origin of each sequence. Probably the simplest way to do this would be to use the merge.groups command, to regroup your samples into just the design file groupings. So you’d have to manually set the sequencing run of each sample group, but then could automatically apply the sequencing run to each sequence.

Running amova should get you what you want. Like the others, I suspect you won’t see anything if you have randomized the samples between runs. - good thinking!


Thanks every one for you help!